(Editor’s Note: The following is the latest in a series of feature stories highlighting Ohio State University South Centers Staff members)
By Bradford Sherman
South Centers/CFAES
As he was preparing to sit down for this interview, Dr. Dan Remley made a conscious decision to pass up the Styrofoam coffee cup in favor of a glass mug.
“It is kind of a New Year’s goal of mine,” he revealed. “I think we can all do our little part.”
For 17 years, Remley, an associate professor and field specialist for food, nutrition, and wellness, has led programming at The Ohio State University that has revolved around that same premise – helping people make mindful choices and inspiring internal motivation.
Through programs like Dining with Diabetes, Voices for Food, and HEALth MAPPS, Remley uses those same principles to help educate people on how to manage their chronic illnesses and for disseminating knowledge to help build healthier communities.
“You have to be motivated in order to take care of yourself,” said Remley, who identified “motivation” as a common thread between his programs. “In Extension, we are in a position where we can help people apply information to their lives, and realize why they need to make a change. I think it is really important to help people discover these internal motivations, and answer the question, ‘why would I want to make these changes in my life?’”
Although his appointment is statewide, Remley is based at the South Centers in Piketon, which puts him at ground-zero for one of the unhealthiest areas of the entire state. Pike County ranked as the 87th out of 88 counties in health outcomes (length and quality of life) and was in the bottom 10 for health factors, according to the 2019 report published by the Robert Wood Johnson Foundation and the University of Wisconsin.
**Calculated crystals from another source follow**
'''
Entry 1:
12
Lattice="-6.684 -7.582 8.246 6.237 -5.315 -10.149 3.090 -0.420 2.119" Properties=species:S:1:pos:R:3 comment="PBE RbFe, optimized geometry" e_form_mev_per_atom=1061.3 density_g_cm3=2.5 de_polymorph_mev_per_atom=353 e_tot_ev_per_fu=-7.31 spacegroup="P6_3/mmc (194)" pbc="T T T"
Rb -0.711 -4.366 1.849
Rb 5.866 -6.101 -4.732
Rb 3.355 -8.951 -1.634
Rb -0.879 -9.213 1.134
Rb 3.523 -4.104 -0.918
Rb -3.223 -7.215 4.948
Fe 3.699 -3.315 -4.374
Fe -0.868 -4.597 5.387
Fe 0.898 -6.492 -0.918
Fe 3.512 -8.720 -5.171
Fe -1.055 -10.002 4.590
Fe 1.746 -6.824 1.134



Entry 2:
16
Lattice="-4.733 -2.360 -2.472 -2.608 -7.751 12.392 -3.807 5.119 2.401" Properties=species:S:1:pos:R:3 comment="PBE RbFe, optimized geometry" e_form_mev_per_atom=1005.2 density_g_cm3=3.2 de_polymorph_mev_per_atom=297 e_tot_ev_per_fu=-7.42 spacegroup="Cmcm (63)" pbc="T T T"
Fe -4.097 0.425 0.545
Fe -2.873 -1.221 -0.226
Fe -3.380 -0.362 6.815
Fe -4.603 1.284 7.587
Fe -1.811 -3.916 7.206
Fe -8.273 -3.771 12.547
Fe -7.050 -5.417 11.776
Fe -3.035 -2.270 7.978
Rb -5.210 -5.522 8.353
Rb -3.389 -5.965 12.184
Rb -4.875 -2.165 11.400
Rb -1.539 -0.467 3.393
Rb -6.695 -1.722 7.569
Rb -4.452 -3.270 4.752
Rb -3.025 3.334 2.609
Rb -5.937 0.531 3.968



Entry 3:
8
Lattice="7.234 0.000 0.000 0.000 7.234 0.000 0.000 0.000 6.967" Properties=species:S:1:pos:R:3 comment="PBE RbFe, optimized geometry" e_form_mev_per_atom=1275.5 density_g_cm3=2.6 de_polymorph_mev_per_atom=567 e_tot_ev_per_fu=-6.88 spacegroup="P4_2/mnm (136)" pbc="T T T"
Fe 6.488 6.488 3.484
Fe 0.746 0.746 3.484
Fe 2.871 4.363 0.000
Fe 4.363 2.871 0.000
Rb 1.291 1.291 0.000
Rb 2.326 4.908 3.484
Rb 5.943 5.943 0.000
Rb 4.908 2.326 3.484



Entry 4:
12
Lattice="-2.931 0.322 3.009 4.197 -12.522 5.430 4.926 3.566 4.417" Properties=species:S:1:pos:R:3 comment="PBE RbFe, optimized geometry" e_form_mev_per_atom=821.8 density_g_cm3=3.1 de_polymorph_mev_per_atom=114 e_tot_ev_per_fu=-7.79 spacegroup="Amm2 (38)" pbc="T T T"
Fe 4.871 -9.587 8.721
Fe 1.335 0.963 4.146
Fe 2.105 -6.256 2.721
Fe 0.970 -7.082 4.653
Fe 2.470 1.788 2.214
Fe 0.309 -5.109 3.797
Rb 2.274 -2.225 2.453
Rb 3.455 3.724 5.916
Rb 6.836 -6.703 7.377
Rb 4.383 -8.517 5.181
Rb 4.747 -0.472 4.675
Rb 3.091 -4.321 6.423



Entry 5:
5
Lattice="4.779 0.000 0.000 0.000 4.779 0.000 0.000 0.000 4.779" Properties=species:S:1:pos:R:3 comment="PBE RbFe3Re, optimized geometry" e_form_mev_per_atom=1423.2 density_g_cm3=6.7 de_polymorph_mev_per_atom=0 e_tot_ev_per_fu=-31.69 spacegroup="Pm-3m (221)" pbc="T T T"
Fe 0.000 0.000 2.389
Fe 0.000 2.389 0.000
Fe 2.389 0.000 0.000
Re 0.000 0.000 0.000
Rb 2.389 2.389 2.389



Entry 6:
4
Lattice="4.414 0.623 0.331 1.692 2.178 3.517 2.345 -2.223 3.088" Properties=species:S:1:pos:R:3 comment="PBE RbFe2Re, optimized geometry" e_form_mev_per_atom=1954.8 density_g_cm3=10.1 de_polymorph_mev_per_atom=286 e_tot_ev_per_fu=-22.52 spacegroup="Fm-3m (225)" pbc="T T T"
Re 4.226 0.289 3.468
Fe 2.113 0.144 1.734
Fe 6.339 0.433 5.202
Rb 0.000 0.000 0.000



Entry 7:
5
'''
**Here the page continues**
It is a region-wide problem with neighboring counties Adams, Jackson, Scioto, Ross, and Highland all landing in the bottom quarter of the overall health rankings. Why is this particular area so unhealthy? Some of it is cultural, such as the popularity of fried foods, but there are larger issues at play as well, according to Remley, such as joblessness leading to a sense of hopelessness, poverty, and rampant drug use.
“Education is really important (to combat these problems), people need to have the skills and the motivation, but they also need to live in environments where they can make healthy choices,” explained Remley. “You have to work at both levels in order to make significant change.”
Two of the programs Remley leads that are specifically aimed at bringing about change in communities are HEALth MAPPS and Voices for Food.
HEALth MAPPS is a community-based research process that makes use of modern technology to help community members become aware of how the features within their community can be helpful or detrimental to residents’ ability to eat healthy and be active.
The process that uses photography, mobile device technology, and residents’ voiced perceptions to address food access, healthy eating, and physical activity. Coordination involves working with community partners, local extension offices, and campus faculty to plan, implement, and evaluate the program.
In Voices For Food, considered by Remley to be his signature program, communities are aided in starting food councils. These councils look at their communities’ food systems, as a whole, and work to bring together partners to make healthy food more accessible and fight food insecurity.
A great example of the work done by food councils is in the area of food pantries. They work with pantries to promote the “choice” method of food distribution, the benefits of nutrition, and encourage the inclusion of offerings suitable to people with chronic illnesses or food allergies.
“About a third of the people who come into food pantries have diabetes or some kind of chronic illness, where they have to watch their diets and try to eat healthy,” said Remley.
“We want to see choice, also because it is a more dignified experience,” Remley stated. “Letting people choose food based on what they need and what they want, instead of just giving them boxes or bags of food they can’t use or don’t want, is a far more efficient way of distributing food.”
Food choice is no more important than in the Dining with Diabetes program, one in which Remley, himself, can relate as a Type 1 diabetic. He has been living with diabetes since the age of 20, and he uses the knowledge he has gained, both personally and professionally, to help other learn to live with the disease.
“I was interested in working with it because of my own experiences. Since I have been living with it, I have a pretty good understanding and can help people make sense of all the overwhelming information they get, especially when they are first diagnosed.”
Dining with Diabetes is a national program spanning 38 states, including Ohio, where there are projected to be 15-20 counties holding classes in 2020. Remley serves as the chairperson of the national group; in this role, he helps develop the curriculum, develop evaluations, and train educators to deliver the programming.
"Many of the people in our classes have just recently been diagnosed with diabetes, so they really don’t know how to manage their blood sugar,” he explained. “When they come to our classes, we give them a basic understanding of diabetes, and also show them healthy ways to prepare main dishes, sides, and desserts that are low carb, low sodium, and low fat.
“We try to help them understand the idea of meal planning, carb counting, and how food affects their blood sugars. Four sessions long. A lot of social learning going on, they learn from each other.
Inserted here: crystal structures:
Record 1
{"formula": "Nd2ZnHg", "functional": "meta-GGA SCAN", "state": "PBEsol geometry", "n_ef_per_ev_cell": 3.88, "vol_a3_per_fu": 101, "total_energy_ry_per_atom": -3.14080, "formation_enthalpy_0k_kj_per_mol_atoms": -50.30, "lattice_angstrom": [[-1.5862, -3.1444, -3.8646], [3.4838, -2.8956, -2.6109], [0.0951, -5.1878, 0.6450]], "species": ["Zn", "Nd", "Nd", "Hg"], "frac_coords": [[0.0000, 0.0000, 0.0000], [0.2500, 0.2500, 0.2500], [0.7500, 0.7500, 0.7500], [0.5000, 0.5000, 0.5000]]}



Record 2
{"formula": "Zn2TeBr", "functional": "meta-GGA SCAN", "state": "PBEsol geometry", "n_ef_per_ev_cell": 0.98, "polymorph_energy_mev_per_atom": 35, "vol_a3_per_fu": 96, "total_energy_ry_per_atom": -1.54652, "formation_energy_uncorrected_ev_per_fu": -0.4, "lattice_angstrom": [[-2.4894, 2.1912, -1.7125], [-2.8627, -1.9555, 1.6594], [2.8103, 4.1049, 5.2346]], "species": ["Br", "Te", "Zn", "Zn"], "frac_coords": [[0.5279, 0.5279, 0.0559], [0.2837, 0.7837, 0.5675], [0.9445, 0.9445, 0.8890], [0.7438, 0.2438, 0.4877]]}



Record 3
{"formula": "Hg2IrPt", "functional": "meta-GGA SCAN", "state": "PBEsol geometry", "n_ef_per_ev_cell": 1.10, "polymorph_energy_mev_per_atom": 35, "vol_a3_per_fu": 68, "total_energy_ry_per_atom": -5.06667, "formation_enthalpy_0k_kj_per_mol_atoms": 45.39, "lattice_angstrom": [[3.2850, 0.0000, 0.0000], [0.0000, 4.5455, 0.0000], [0.0000, 0.0000, 4.5455]], "species": ["Hg", "Hg", "Ir", "Pt"], "frac_coords": [[0.0000, 0.0000, 0.5000], [0.0000, 0.5000, 0.0000], [0.5000, 0.5000, 0.5000], [0.5000, 0.0000, 0.0000]]}



Record 4
{"formula": "SrYTe2", "functional": "meta-GGA SCAN", "state": "PBEsol geometry", "n_ef_per_ev_cell": 3.12, "polymorph_energy_mev_per_atom": 1170, "vol_a3_per_fu": 115, "total_energy_ry_per_atom": -2.32716, "formation_energy_uncorrected_ev_per_fu": -2.0, "lattice_angstrom": [[5.4574, 0.0000, 0.0000], [2.7287, 4.7263, 0.0000], [2.7287, 1.5754, 4.4560]], "species": ["Sr", "Te", "Te", "Y"], "frac_coords": [[0.5000, 0.5000, 0.5000], [0.0000, 0.0000, 0.0000], [0.7500, 0.7500, 0.7500], [0.2500, 0.2500, 0.2500]]}
The page goes on:
The long-term complications of unmanaged blood sugar are serious and can include eye diseases, kidney problems, stroke, heart disease, and problems with the nervous system.
In addition to eating properly, staying active is also a key component of proper diabetes management. In his free time, Remley practices what he preaches by staying fit through activities like hiking, and playing tennis and pickle ball.
And much like his programs aim to accomplish, Remley wants to do his part to make his community a little healthier and a better place to live. Every journey begins with a single step, or in this case, the passing up of a single Styrofoam cup.
“I am also interested in sustainability and helping people think about how we can lessen our footprint. Going back to the Styrofoam cup – that is something I am trying to do,” he said.
“If we can we lessen our footprint, we can ensure that our kids and grandkids inherit a world where they can have a higher quality of life.”
Remley earned a bachelor’s degree in Zoology from Miami (OH) University and received his master’s in Science and Public Health from Alabama Birmingham. He earned his PhD in Nutritional Sciences from the University of Kentucky. He worked at the University of Missouri before coming to The Ohio State University in 2002.
Remley resides in Chillicothe with his wife, Heather, and their two youngest children, Allison and Matthew. Their oldest daughter Katie is attending Ohio University.